**Brief:**
Give back only the lines underneath with the word "Zn23" in them.

**Contents:**
~~~
[1]
# PBE Y3Au2, optimized geometry
# Space group: P4/mbm
# Energy of formation from the pure elements, kJ/mol of formula units: -343
data_Y3Au2
_chemical_formula_sum 'Y6 Au4'
_cell_length_a 8.206
_cell_length_b 8.206
_cell_length_c 3.797
_cell_angle_alpha 90.00
_cell_angle_beta 90.00
_cell_angle_gamma 90.00
_space_group_name_H-M_alt 'P 1'
_space_group_IT_number 1
_space_group_name_Hall 'P 1'
loop_
_atom_site_label
_atom_site_type_symbol
_atom_site_fract_x
_atom_site_fract_y
_atom_site_fract_z
Y1 Y 0.000 0.000 0.000
Y2 Y 0.162 0.338 0.500
Y3 Y 0.338 0.838 0.500
Y4 Y 0.500 0.500 0.000
Y5 Y 0.662 0.162 0.500
Y6 Y 0.838 0.662 0.500
Au1 Au 0.133 0.633 0.000
Au2 Au 0.367 0.133 0.000
Au3 Au 0.633 0.867 0.000
Au4 Au 0.867 0.367 0.000



[2]
# PBE Zn3Au5, optimized geometry
# Space group: Ibam
# Energy of formation from the pure elements, kJ/mol of formula units: -136
# Total moment, Bohr magnetons per cell: 0.00
data_Zn3Au5
_chemical_formula_sum 'Zn24 Au40'
_cell_length_a 18.104
_cell_length_b 18.104
_cell_length_c 18.104
_cell_angle_alpha 162.06
_cell_angle_beta 143.80
_cell_angle_gamma 40.68
_space_group_name_H-M_alt 'P 1'
_space_group_IT_number 1
_space_group_name_Hall 'P 1'
loop_
_atom_site_label
_atom_site_type_symbol
_atom_site_fract_x
_atom_site_fract_y
_atom_site_fract_z
Zn1 Zn 0.000 0.000 0.000
Zn2 Zn 0.046 0.900 0.571
Zn3 Zn 0.077 0.648 0.853
Zn4 Zn 0.125 0.125 0.000
Zn5 Zn 0.171 0.600 0.146
Zn6 Zn 0.205 0.776 0.853
Zn7 Zn 0.250 0.250 0.000
Zn8 Zn 0.295 0.148 0.571
Zn9 Zn 0.329 0.475 0.429
Zn10 Zn 0.375 0.375 0.000
Zn11 Zn 0.423 0.276 0.571
Zn12 Zn 0.454 0.025 0.854
Zn13 Zn 0.500 0.500 0.000
Zn14 Zn 0.546 0.975 0.146
Zn15 Zn 0.577 0.724 0.429
Zn16 Zn 0.625 0.625 0.000
Zn17 Zn 0.671 0.525 0.571
Zn18 Zn 0.705 0.852 0.429
Zn19 Zn 0.750 0.750 0.000
Zn20 Zn 0.795 0.224 0.147
Zn21 Zn 0.829 0.400 0.854
Zn22 Zn 0.875 0.875 0.000
Zn23 Zn 0.923 0.352 0.147
Zn24 Zn 0.954 0.100 0.429
Au1 Au 0.000 0.500 0.500
Au2 Au 0.008 0.250 0.758
Au3 Au 0.042 0.149 0.314
Au4 Au 0.085 0.402 0.112
Au5 Au 0.117 0.875 0.242
Au6 Au 0.125 0.625 0.500
Au7 Au 0.133 0.375 0.758
Au8 Au 0.165 0.272 0.314
Au9 Au 0.210 0.098 0.683
Au10 Au 0.243 0.961 0.204
Au11 Au 0.250 0.750 0.500
Au12 Au 0.257 0.461 0.718
Au13 Au 0.290 0.973 0.888
Au14 Au 0.335 0.649 0.107
Au15 Au 0.367 0.125 0.242
Au16 Au 0.375 0.875 0.500
Au17 Au 0.383 0.625 0.758
Au18 Au 0.415 0.527 0.317
Au19 Au 0.458 0.772 0.107
Au20 Au 0.492 0.250 0.242
Au21 Au 0.500 0.000 0.500
Au22 Au 0.508 0.750 0.758
Au23 Au 0.542 0.228 0.893
Au24 Au 0.585 0.473 0.683
Au25 Au 0.617 0.375 0.242
Au26 Au 0.625 0.125 0.500
Au27 Au 0.633 0.875 0.758
Au28 Au 0.665 0.351 0.893
Au29 Au 0.710 0.027 0.112
Au30 Au 0.743 0.539 0.282
Au31 Au 0.750 0.250 0.500
Au32 Au 0.757 0.039 0.796
Au33 Au 0.790 0.902 0.317
Au34 Au 0.835 0.728 0.686
Au35 Au 0.867 0.625 0.242
Au36 Au 0.875 0.375 0.500
Au37 Au 0.883 0.125 0.758
Au38 Au 0.915 0.598 0.888
Au39 Au 0.958 0.851 0.686
Au40 Au 0.992 0.750 0.242



[3]
# PBE Zn3Au, optimized geometry
# Space group: Pm-3n
# Energy of formation from the pure elements, kJ/mol of formula units: -67
data_Zn3Au
_chemical_formula_sum 'Zn24 Au8'
_cell_length_a 7.980
_cell_length_b 7.980
_cell_length_c 7.980
_cell_angle_alpha 90.00
_cell_angle_beta 90.00
_cell_angle_gamma 90.00
_space_group_name_H-M_alt 'P 1'
_space_group_IT_number 1
_space_group_name_Hall 'P 1'
loop_
_atom_site_label
_atom_site_type_symbol
_atom_site_fract_x
_atom_site_fract_y
_atom_site_fract_z
Zn1 Zn 0.000 0.164 0.300
Zn2 Zn 0.000 0.164 0.700
Zn3 Zn 0.000 0.836 0.300
Zn4 Zn 0.000 0.836 0.700
Zn5 Zn 0.164 0.300 0.000
Zn6 Zn 0.164 0.700 0.000
Zn7 Zn 0.200 0.336 0.500
Zn8 Zn 0.200 0.664 0.500
Zn9 Zn 0.300 0.000 0.164
Zn10 Zn 0.300 0.000 0.836
Zn11 Zn 0.336 0.500 0.200
Zn12 Zn 0.336 0.500 0.800
Zn13 Zn 0.500 0.200 0.336
Zn14 Zn 0.500 0.200 0.664
Zn15 Zn 0.500 0.800 0.336
Zn16 Zn 0.500 0.800 0.664
Zn17 Zn 0.664 0.500 0.200
Zn18 Zn 0.664 0.500 0.800
Zn19 Zn 0.700 0.000 0.164
Zn20 Zn 0.700 0.000 0.836
Zn21 Zn 0.800 0.336 0.500
~~~

**Completed:**
Zn23 Zn 0.923 0.352 0.147